Wednesday, October 5, 2011

Attached: records of crystals:
┌──
No. 1
## Ba5MgHg2 (PBE)

Data for a geometry-optimized Ba5MgHg2 structure.

formation enthalpy at 0 K	-2.07	eV/f.u.

abc: 9.550 9.550 16.034
angles: 90.00 90.00 90.00
Space group I4/mcm (No. 140)
Unique sites:
Ba 0.000 0.000 0.000
Ba 0.162 0.338 0.139
Mg 0.000 0.000 0.250
Hg 0.130 0.370 0.500


No. 2
## Ru2PtBr (PBE)

Data for a geometry-optimized Ru2PtBr structure.

formation energy without anion corrections	89.55	kJ/mol of atoms
polymorph energy (0 for the lowest one)	486	meV per atom

abc: 2.817 4.735 4.804
angles: 90.00 90.00 90.00
Space group Pmmm (No. 47)
Unique sites:
Ru 0.000 0.000 0.000
Ru 0.500 0.000 0.500
Pt 0.000 0.500 0.500
Br 0.500 0.500 0.000


No. 3
## NdPuCd2 (PBE)

Data for a geometry-optimized NdPuCd2 structure.

formation enthalpy at 0 K	-0.49	eV/f.u.
polymorph energy (0 for the lowest one)	7	meV per atom

abc: 3.292 3.292 9.722
angles: 90.00 90.00 90.00
Space group P4/mmm (No. 123)
Unique sites:
Nd 0.000 0.000 0.000
Pu 0.000 0.000 0.500
Cd 0.500 0.500 0.252


No. 4
## Sc3CuS (PBE)

Data for a geometry-optimized Sc3CuS structure.

formation energy without anion corrections	-47.34	kJ/mol of atoms
polymorph energy (0 for the lowest one)	348	meV per atom

abc: 4.776 4.776 4.776
angles: 90.00 90.00 90.00
Space group Pm-3m (No. 221)
Unique sites:
Sc 0.000 0.000 0.500
Cu 0.500 0.500 0.500
S 0.000 0.000 0.000


No. 5
## Ti3Ge (PBE)

Data for a geometry-optimized Ti3Ge structure.

formation enthalpy at 0 K	-1.77	eV/f.u.

abc: 10.247 10.247 5.126
angles: 90.00 90.00 90.00
Space group P4_2/n (No. 86, origin choice 2)
Unique sites:
Ti 0.033 0.567 0.249
Ti 0.106 0.222 0.468
Ti 0.145 0.669 0.783
Ge 0.046 0.208 0.963


No. 6
## LiEuThIn (PBE)

Data for a geometry-optimized LiEuThIn structure.

formation enthalpy at 0 K	-0.27	eV/f.u.

abc: 7.717 7.717 7.717
angles: 90.00 90.00 90.00
Space group F-43m (No. 216)
Unique sites:
Li 0.000 0.000 0.000
Eu 0.250 0.250 0.750
Th 0.250 0.250 0.250
In 0.000 0.000 0.500


No. 7
## CaRhAu2 (PBE)

Data for a geometry-optimized CaRhAu2 structure.

formation enthalpy at 0 K	-0.96	eV/f.u.

abc: 3.558 3.598 6.063
angles: 90.00 90.00 90.00
Space group Pmm2 (No. 25)
Unique sites:
Ca 0.000 0.000 0.000
Rh 0.500 0.500 0.263
Au 0.000 0.000 0.481
Au 0.500 0.500 0.726


No. 8
## HfTaCoCu (PBE)

Data for a geometry-optimized HfTaCoCu structure.

formation enthalpy at 0 K	-0.27	eV/f.u.

abc: 6.289 6.289 6.289
angles: 90.00 90.00 90.00
Space group F-43m (No. 216)
Unique sites:
Hf 0.000 0.000 0.000
Ta 0.000 0.000 0.500
Co 0.250 0.250 0.250
Cu 0.250 0.250 0.750


What did the second record say?
## Ru2PtBr (PBE)

Data for a geometry-optimized Ru2PtBr structure.

formation energy without anion corrections	89.55	kJ/mol of atoms
polymorph energy (0 for the lowest one)	486	meV per atom

abc: 2.817 4.735 4.804
angles: 90.00 90.00 90.00
Space group Pmmm (No. 47)
Unique sites:
Ru 0.000 0.000 0.000
Ru 0.500 0.000 0.500
Pt 0.000 0.500 0.500
Br 0.500 0.500 0.000
└──

He's Finally Here!!

For all of those who don't know, our 4th child, Owen Chance Ellis, joined our family at 1:32 AM on Sept. 27th! He was in a BIG hurry to get here! I woke up feeling my first real contractions shortly after 1 AM and he was born half an hour later! (For the complete story you can go here, trust me, it's worth the read!) He weighed 8 lbs, 6 oz and was 20 inches long. Our biggest baby by almost a pound! He is fitting in very well with our family. All the kids (yes, even Kaylie) love him to pieces! They are always asking if they can hold the baby or touch the baby or kiss the baby. Kaylie calls him "baby Omen" which I think is really adorable, especially in her little helium voice!! :) My recovery is going well. I am currently fighting a UTI, but hopefully once that clears up I will be almost back to normal.

I am feeling very thoughtful the past few days. It's hard to explain my's no secret that I pretty much hated being pregnant for the last three months or so, but looking back now, I wish I would have tried to relax and enjoy it just a little more. After all, I'll probably never get that chance again. We are ready to move on to the next stage of our lives, raising and teaching and enjoying our kiddos as they grow, but the baby stage is done now. I am really grateful that we decided to do HypnoBirthing this time around. Owen's birth was such an amazing, spiritual, intimate, empowering experience. I truly wish I could have done that with all of my other babies! I wish I could have experienced this labor/delivery for a little bit longer than I did (32 mins isn't very long to labor!) just to say that I got to use some of the amazing relaxation techniques that I learned and to really take control of my body. I almost feel like I cheated a little bit and didn't have to work for this baby! :) But I wouldn't trade this experience for the world and Owen is such a perfect result! I am having a hard time letting go of this experience. My HypnoBirthing practice schedule is still up on my fridge. I can't bring myself to take down the friendly reminder to relax daily and practice my breathing and to work with my husband regularly to achieve the most favorable outcome possible from this labor. I was so excited to be done...and now I find myself crying because I don't want to let go...(stupid hormones)!

So, the long and short of this post I guess...Through this experience I have learned that I am a strong person and I can do hard things! I birthed a baby on the living room floor! (If you didn't click on the link and read the story, you missed all that!) Owen is a perfect little blessing from a very loving Heavenly Father. I hope I can live up to His trust and expectations by raising a strong little boy, a worthy Missionary, and a caring, devoted husband and father. I hope he turns out to be like his own Dad who stood right by my side through this whole thing. I love you Ben. And I love you too, Owen! I am so excited to get to know you!

-- begin --
(1)
4
Lattice="4.752 0.000 0.000 2.376 4.116 0.000 2.376 1.372 6.441" Properties=species:S:1:pos:R:3 comment="Ho2SnPb (GGA-PBE, relaxed)" volume_a3_per_atom=31.49 m_tot_mub_per_atom=0.00 density_g_cm3=8.6 delta_e_f_kj_per_mol_fu=-162.6 pbc="T T T"
Sn 4.752 2.744 0.038
Ho 2.376 1.372 4.963
Ho 2.376 1.372 1.440
Pb 4.752 2.744 3.221

(2)
4
Lattice="4.737 0.000 0.000 2.368 4.102 0.000 2.368 1.367 3.867" Properties=species:S:1:pos:R:3 comment="TlCr2As (GGA-PBE, relaxed)" volume_a3_per_atom=18.79 m_tot_mub_per_atom=0.00 density_g_cm3=8.5 delta_e_f_kj_per_mol_fu=217.7 pbc="T T T"
As 4.737 2.735 1.934
Cr 2.368 1.367 0.967
Cr 0.000 0.000 0.000
Tl 7.105 4.102 2.901

(3)
4
Lattice="-2.235 3.617 0.804 -3.694 -2.102 -0.814 -0.221 -0.847 3.192" Properties=species:S:1:pos:R:3 comment="Cr2HgW (GGA-PBE, relaxed)" volume_a3_per_atom=15.49 m_tot_mub_per_atom=0.93 density_g_cm3=13.1 delta_e_f_kj_per_mol_fu=218.7 pbc="T T T"
W -1.957 -1.474 1.189
Cr -2.964 0.757 -0.005
Cr 0.000 0.000 0.000
Hg -1.228 1.385 1.998

(4)
6
Lattice="5.163 0.000 0.002 0.000 3.384 0.000 -2.094 0.000 8.560" Properties=species:S:1:pos:R:3 comment="P2S (GGA-PBE, relaxed)" volume_a3_per_atom=24.93 m_tot_mub_per_atom=0.00 density_g_cm3=2.1 e_form_raw_mev_per_atom=182 pbc="T T T"
P 4.029 0.276 1.655
P 2.982 1.969 5.935
P -0.961 0.276 6.908
P 0.087 1.969 2.628
S 0.000 2.765 0.000
S -1.047 1.073 4.280

(5)
5
Lattice="4.262 0.000 0.000 0.000 4.262 0.000 2.131 2.131 5.162" Properties=species:S:1:pos:R:3 comment="Ti2AgPd2 (GGA-PBE, relaxed)" volume_a3_per_atom=18.76 m_tot_mub_per_atom=0.00 density_g_cm3=7.4 delta_e_f_kj_per_mol_fu=-46.4 pbc="T T T"
Ti 4.262 2.131 2.581
Ti 2.131 4.262 2.581
Pd 2.131 2.131 1.252
Pd 4.262 4.262 3.910
Ag 0.000 0.000 0.000

(6)
4
Lattice="-2.342 -3.096 -2.451 3.425 0.330 -3.526 2.982 -3.638 2.946" Properties=species:S:1:pos:R:3 comment="RbTeHS (GGA-PBE, relaxed)" volume_a3_per_atom=31.12 m_tot_mub_per_atom=0.00 density_g_cm3=3.3 final_energy_ev_per_atom=-3.293 pbc="T T T"
S 2.533 -3.645 1.261
Rb 2.762 -4.652 -1.909
H -0.348 -3.413 -2.139
Te 0.685 -1.356 0.003

=====

This record from Alexandria describes a geometry-optimized CaCe2Si3Pt4 structure. The functional is PBE.

Calculated values
Its density of states at the Fermi level is 1.32 states/eV per atom. As for the total energy: -6.379 eV/atom. Its density is 10.07 g/cm3. Its uncorrected formation energy is -949 meV per atom.

Unit cell a=4.2414 b=4.2414 c=10.8634 alpha=90.00 beta=90.00 gamma=90.00
Last column: nearest neighbours and their distance in Å.
Element x y z (fractional)
Ca 0.0000 0.0000 0.0000  4 Pt 2.76, 4 Si 3.00
Ce 0.0000 0.5000 0.7313  8 Pt 3.21-3.29, 4 Si 3.24
Ce 0.5000 0.0000 0.2687  8 Pt 3.21-3.29, 4 Si 3.24
Si 0.0000 0.5000 0.3814  5 Pt 2.38-2.48
Si 0.5000 0.0000 0.6186  5 Pt 2.38-2.48
Si 0.5000 0.5000 0.0000  4 Pt 2.76, 4 Ca 3.00
Pt 0.0000 0.0000 0.5000  4 Si 2.48
Pt 0.0000 0.5000 0.1622  1 Si 2.38
Pt 0.5000 0.0000 0.8378  1 Si 2.38
Pt 0.5000 0.5000 0.5000  4 Si 2.48
-- stop --

1 comment:

  1. Hooray for home births! My second baby came that fast too, he was also born in my living room :). Congratulations on he new little one.
